
Of course it’s just an upscaled 3DS port, so what? Wired connection and big screen battles here I come!!

It’s really sad that your life is so pathetic that you have to pick meaningless fights on the internet. I pity you.

Oh, no, tell me who was mean to you? It’s going to be ok. You’re safe here.

I was stating a fact. It’s going to win most of the GOTY awards. If I was Rockstar I would postpone it too. I didn’t say anything about Zelda being better, or not. Chances are I will end up preferring Read Dead 2, because the first one is an all time favorite.  You are unpleasant, and you don’t know how to read. 

The real reason I think it was delayed is a little game called Breath of the Wild which is going to rack up all the 2017 game of the year awards. If you want your game of the year edition to have all those awards won listed on it, you better not go up against it.

This sounds like The Metroid Prime: Federation Force of the Pikmin series. Oh well, it was only a matter of time before Pikmin got a crappy entry. I was hoping it wouldn’t happen. I’m such a fan of the gameplay of the series, I don’t understand why they didn’t try to do something similar.

My favorite entry was Dream Team, because of all the gameplay improvements and achievements to unlock. If they add those to the previous games, it’s going to be great.

You can play it right now on your 3DS, why would you need a new version?

The main persona series has only ever been on Sony consoles, I’m afraid unless the Switch pushes Sony to try and mimic its success you will only ever Play Persona 5 on a home system.

That’s great! What are the must own, exclusive games for XboxOne?


Oh, so back to my PS4/Nintendo Switch combo then.

If I wanted an overpowered system without console exclusives, I would build myself a gaming PC.

I enjoyed my time with Gwent beta yesterday, especially since I pretty much destroyed my three online opponents using techniques I’ve honed trough three Witcher playthroughs -- which was as delightful as I thought it would be when I dreamed of an online version -- however the fact that all my progress will be for nil

Bloodborne was the true progression of the Souls series, the combat was vastly more enjoyable.

'''
{"formula": "C43H31Cl2CoO3P2", "method": "wB97M-V/def2-TZVPD", "elements": ["Co", "Cl", "C", "C", "C", "Cl", "C", "O", "C", "C", "O", "C", "H", "H", "H", "O", "C", "C", "C", "C", "C", "C", "P", "C", "C", "C", "C", "C", "C", "C", "C", "C", "C", "C", "C", "C", "C", "C", "C", "C", "C", "P", "C", "C", "C", "C", "C", "C", "C", "C", "C", "C", "C", "C", "H", "H", "H", "H", "H", "H", "H", "H", "H", "H", "H", "H", "H", "H", "H", "H", "H", "H", "H", "H", "H", "H", "H", "H", "H", "H", "H", "H"], "xyz": [[0.051800, -0.153600, -0.049700], [5.872500, 4.494200, 0.069700], [4.671800, 3.267600, 0.020300], [5.040700, 1.930300, 0.215900], [4.086500, 0.943800, 0.198000], [4.544500, -0.699900, 0.398400], [2.700000, 1.236700, 0.010000], [1.827500, 0.308100, 0.020800], [2.364000, 2.613800, -0.191000], [0.980200, 2.958500, -0.343500], [0.039300, 2.176800, -0.272800], [3.353500, 3.602200, -0.203000], [6.075800, 1.673100, 0.380500], [0.775400, 4.025500, -0.522000], [3.072100, 4.631000, -0.368200], [-2.296200, -2.430400, 0.685500], [-3.463100, -2.105900, 0.040400], [-4.451100, -2.991300, -0.356700], [-5.607500, -2.499100, -0.938500], [-5.779300, -1.139600, -1.135200], [-4.765300, -0.259100, -0.799100], [-3.597100, -0.739800, -0.221500], [-2.177300, 0.306100, 0.222700], [-2.550300, 0.760500, 1.938600], [-1.707300, 1.679400, 2.560200], [-1.904600, 2.018100, 3.884100], [-2.930400, 1.423500, 4.604300], [-3.765100, 0.503700, 3.991100], [-3.580000, 0.167800, 2.661600], [-2.546600, 1.740800, -0.824200], [-2.103700, 1.652000, -2.142300], [-2.377600, 2.671000, -3.031900], [-3.094400, 3.780800, -2.607700], [-3.525200, 3.873500, -1.294800], [-3.246400, 2.857800, -0.394800], [-1.855900, -3.738400, 0.663900], [-2.563800, -4.800300, 1.207100], [-2.072600, -6.086500, 1.058000], [-0.882400, -6.308500, 0.381500], [-0.135900, -5.240600, -0.086100], [-0.615500, -3.945500, 0.062300], [0.352100, -2.444600, -0.325100], [0.829300, -2.635300, -2.054600], [2.032400, -2.099600, -2.506200], [2.265500, -1.988600, -3.863700], [1.295000, -2.388200, -4.770600], [0.098700, -2.927500, -4.322500], [-0.139000, -3.048400, -2.967500], [1.775700, -2.751900, 0.763300], [1.720200, -2.094200, 1.990300], [2.700600, -2.302800, 2.939600], [3.745700, -3.171900, 2.667900], [3.808800, -3.820500, 1.444600], [2.827200, -3.616200, 0.488700], [-4.323200, -4.053300, -0.228800], [-6.375600, -3.196300, -1.235100], [-6.698500, -0.766500, -1.561000], [-4.880300, 0.800000, -0.980900], [-0.899100, 2.120800, 1.993000], [-1.257300, 2.740700, 4.356900], [-3.079100, 1.678100, 5.642300], [-4.565400, 0.042900, 4.549900], [-4.229600, -0.551900, 2.184700], [-1.522500, 0.785500, -2.449700], [-2.027900, 2.608800, -4.051700], [-3.311600, 4.576300, -3.303400], [-4.077200, 4.741100, -0.966400], [-3.558900, 2.930500, 0.637800], [-3.478000, -4.611400, 1.749300], [-2.629100, -6.915900, 1.466300], [-0.514900, -7.313100, 0.242300], [0.811000, -5.409300, -0.574700], [2.767800, -1.760900, -1.789800], [3.196100, -1.569000, -4.215800], [1.466600, -2.270800, -5.829400], [-0.656200, -3.235200, -5.028800], [-1.077300, -3.445800, -2.603000], [0.898000, -1.405000, 2.181100], [2.652200, -1.783900, 3.884900], [4.515200, -3.336400, 3.406900], [4.632900, -4.484900, 1.232500], [2.893100, -4.108700, -0.470600]], "forces_ev_per_angstrom": [[-1.0215, 1.7494, -0.2940], [0.3153, 0.2404, -0.0185], [-0.6923, 0.0061, -0.1151], [-0.3053, 0.0515, -0.0257], [-0.3039, 0.2617, -0.1054], [0.1172, -0.1530, -0.0138], [0.3423, 0.9205, -0.1658], [0.9143, -1.5836, 0.1408], [0.0148, -0.9324, 0.0605], [0.9769, 0.2601, 0.0586], [-0.7061, -1.0387, 0.2013], [0.4902, -0.0277, 0.1444], [0.0775, -0.0105, -0.0038], [-0.1699, -0.0163, 0.0154], [0.0121, 0.1544, 0.0089], [-0.3094, -0.4520, 0.4405], [-0.3158, 0.4172, -0.3532], [0.1945, -0.2215, 0.0645], [0.0712, 0.0968, 0.0057], [-0.1548, 0.0411, -0.0518], [0.0434, -0.0733, 0.0636], [0.5744, -0.4578, 0.1218], [-0.9301, -0.0341, -0.2432], [0.3612, -0.0605, -0.0306], [0.0547, -0.0499, -0.1114], [0.0123, 0.0495, 0.1250], [-0.0107, 0.0324, -0.0438], [-0.0588, -0.0155, 0.0932], [0.0657, 0.0082, -0.1833], [0.1884, -0.0560, -0.0161], [-0.0617, -0.0769, 0.1630], [0.0315, -0.0371, -0.1040], [-0.0300, 0.0281, 0.0123], [-0.0349, 0.1141, -0.0142], [0.1019, -0.2238, 0.0870], [0.3538, -0.4178, -0.2895], [-0.0122, 0.2135, 0.1596], [-0.0043, 0.1398, -0.0276], [0.1651, -0.0002, -0.0165], [-0.0196, 0.0962, -0.0240], [-0.8573, 0.8508, 0.1476], [0.9656, -0.1227, 0.1990], [-0.1016, 0.2758, 0.0591], [0.0026, -0.0227, 0.1695], [0.0399, 0.0174, -0.1284], [0.0118, -0.0121, 0.0006], [-0.0108, 0.0057, -0.1215], [0.0170, -0.0123, 0.2297], [-0.1108, 0.2417, -0.0442], [-0.1270, -0.0099, -0.1846], [-0.0269, -0.0177, 0.1329], [-0.0658, 0.0014, -0.0041], [0.0711, -0.0821, 0.0036], [-0.1047, 0.0755, -0.0273], [-0.0733, -0.0394, 0.0042], [-0.0987, -0.0352, -0.0329], [-0.0318, 0.0324, -0.0609], [-0.0026, 0.0037, -0.0469], [0.0540, 0.1185, 0.0139], [0.0665, 0.0538, 0.0546], [-0.0184, 0.0308, 0.0935], [-0.0657, -0.0365, 0.0568], [-0.0717, -0.0261, 0.0303], [-0.0664, 0.0456, -0.1198], [0.0124, -0.0098, -0.0795], [-0.0236, 0.0877, -0.0627], [-0.0421, 0.0839, 0.0192], [-0.0819, 0.0441, 0.0449], [-0.0867, -0.0317, 0.0101], [-0.0297, -0.0785, 0.0357], [0.0199, -0.0943, 0.0091], [0.1276, -0.0518, -0.0299], [0.1015, 0.0847, 0.0433], [0.0749, 0.0089, -0.0252], [0.0391, -0.0250, -0.1035], [-0.0658, -0.0544, -0.0880], [-0.0882, -0.0595, -0.0625], [0.1348, -0.0662, 0.1441], [0.0158, 0.0293, 0.0874], [0.0711, -0.0099, 0.0440], [0.0632, -0.0654, -0.0329], [0.0253, -0.0710, -0.0928]], "multiplicity": 2, "homo_ha": [-0.3778, -0.3773], "charge": 1, "e_tot_ev": -132481.1033, "orbital_gap_ha": [0.2353, 0.2746]}
'''

It does not break.

Wait, you don’t like the Witcher 3 either? So, you just hate joy and greatness then, that is too bad. I’m sorry.

Between two parts of the entry: data records:
........
A structure of composition C20H14ClFeNO2PSSe2 at a distorted geometry. Source: the Open Molecules 2025 dataset; level of theory: ωB97M-V with the def2-TZVPD basis set.

As for the max |F|: 5.35 eV Å⁻¹. The expectation value of S² is 6.03. As for the multiplicity: 5. Its molar mass is 612.60 g/mol. As for the HOMO energy (alpha / beta): -4.4 / -4.6 eV. The calculation puts the orbital gap (alpha / beta) at 0.2326 / 0.2391 hartree. The LUMO energy (alpha / beta) is 0.071 / 0.069 hartree. As for the net charge: -1.

```
43
C20H14ClFeNO2PSSe2 ωB97M-V with the def2-TZVPD basis set
Fe -1.651 -1.440 -0.473
Cl -5.979 -0.570 5.281
C -4.791 -0.590 4.017
C -3.616 0.124 4.199
C -2.644 0.074 3.198
C -2.852 -0.638 2.024
O -1.899 -0.727 1.123
C -4.103 -1.325 1.815
C -4.352 -1.997 0.609
O -3.635 -1.946 -0.458
C -5.046 -1.309 2.870
H -3.447 0.695 5.097
H -1.706 0.594 3.324
H -5.243 -2.634 0.554
H -5.973 -1.847 2.753
Se -0.961 0.950 -1.415
P 0.959 0.097 -0.803
Se 0.895 -1.843 0.187
C 2.030 -0.014 -2.283
C 2.494 -1.233 -2.755
C 3.231 -1.282 -3.923
C 3.511 -0.118 -4.618
C 3.048 1.102 -4.145
C 2.306 1.157 -2.981
C 1.834 1.226 0.334
C 3.073 0.826 0.826
C 3.712 1.594 1.778
C 3.117 2.755 2.251
C 1.880 3.150 1.764
C 1.238 2.386 0.806
H 2.272 -2.139 -2.208
H 3.577 -2.235 -4.297
H 4.072 -0.163 -5.542
H 3.259 2.009 -4.695
H 1.914 2.093 -2.606
H 3.507 -0.100 0.476
H 4.674 1.286 2.165
H 3.615 3.346 3.009
H 1.415 4.052 2.140
H 0.267 2.674 0.425
S -1.263 -3.211 -4.617
C -1.348 -2.625 -3.154
N -1.392 -2.202 -2.053
```



The molecule C13H12ClN3O5S at a distorted geometry. Source: the Open Molecules 2025 dataset; level of theory: ωB97M-V with the def2-TZVPD basis set.

The value obtained for the relative energy (zero: lowest compared OMol25 entry of this formula, charge and spin) is 89.6 kJ/mol. As for the SMILES: C/C(=N\NS(=O)(=O)c1ccc(Cl)c([N+](=O)[O-])c1)c1ccc(C)o1. As for the max |F|: 5.30 eV Å⁻¹. Its molar mass is 357.77 g/mol. As for the HOMO energy: -7.3 eV. The calculation puts the orbital gap at 0.2326 hartree. The LUMO energy is -0.036 hartree. As for the net charge: 0.

```
35
C13H12ClN3O5S ωB97M-V with the def2-TZVPD basis set
C -0.733 0.939 -2.781
C -1.519 0.446 -1.608
N -1.483 1.150 -0.425
N -0.328 1.310 0.247
S 1.346 0.949 -0.195
O 1.915 2.094 -0.952
O 1.357 -0.320 -0.935
C 2.216 0.811 1.373
C 2.166 -0.432 2.038
C 2.729 -0.483 3.312
C 3.351 0.672 3.874
Cl 3.999 0.426 5.445
C 3.359 1.908 3.196
N 3.887 3.109 3.708
O 3.154 4.075 3.665
O 5.026 3.091 4.123
C 2.774 1.967 1.928
C -2.360 -0.771 -1.728
C -3.090 -1.321 -0.692
C -3.708 -2.470 -1.251
C -3.381 -2.494 -2.583
C -3.909 -3.480 -3.584
O -2.570 -1.446 -2.911
H 0.129 1.502 -2.441
H -0.406 0.097 -3.410
H -1.368 1.601 -3.326
H -0.328 2.120 0.842
H 1.739 -1.349 1.652
H 2.730 -1.384 3.893
H 2.802 2.907 1.395
H -3.066 -0.995 0.330
H -4.366 -3.155 -0.753
H -4.315 -2.902 -4.414
H -3.040 -4.067 -3.911
H -4.710 -4.105 -3.120
```
........
Here the entry continues:

We’re so lucky to be living at a time when games like Witcher 3 and Breath of the Wild are coming out. They are certainly not making me more productive though...

-- Misplaced quantum chemistry results --
~~~
16
Properties=species:S:1:pos:R:3:nbo_charge:R:1 method="wB97M-V/def2-TZVPD" e_above_lowest_kj_mol=514.8 energy_ha=-458.037073 gap_ha=0.3493 homo_energy_ev=-9.3
O 0.4586 1.6718 1.0323 -0.58
O 0.3525 0.7182 -2.6856 -0.70
O -0.9927 2.0897 -0.6150 -0.68
O 0.6761 -2.3194 -0.5349 -0.64
C 0.4011 -1.1404 -1.0249 0.24
C -0.4207 -1.0530 2.2025 -0.90
C 0.2596 1.9103 -0.1369 0.64
C 0.5415 -0.1001 -1.6426 0.10
H -0.9775 2.2172 -1.5731 0.49
H -1.2926 -1.5447 1.7828 0.20
H 0.2228 -2.4293 0.3202 0.51
H 0.4019 -1.7579 2.2983 0.20
H -0.6704 -0.6912 3.1944 0.23
H -0.1218 -0.1540 1.6233 0.26
H 1.0451 2.3657 -0.7717 0.12
H 0.1165 0.2173 -3.4689 0.50

11
Properties=species:S:1:pos:R:3:nbo_charge:R:1 method="wB97M-V/def2-TZVPD" e_above_lowest_kj_mol=8.6 energy_ha=-766.739183 total_charge=+2 gap_ha=0.1991 homo_energy_ev=-17.6
Sn 3.8683 -1.7480 -0.9006 1.84
S 0.0707 -0.5834 -0.6523 1.20
O 1.5567 -0.3244 -0.5656 -1.08
C -0.6996 1.1335 -0.8106 -0.77
C -0.4721 -0.7242 1.0956 -0.79
H 0.0224 1.7258 -0.2484 0.25
H -0.8649 1.6012 -1.7812 0.28
H -1.5441 -0.5315 1.1377 0.28
H 0.1786 -0.0186 1.6121 0.25
H -0.4127 -1.7328 1.5048 0.26
H -1.7035 1.2025 -0.3916 0.27

10
Properties=species:S:1:pos:R:3:nbo_charge:R:1 method="wB97M-V/def2-TZVPD" e_above_lowest_kj_mol=372.1 energy_ha=-247.165522 gap_ha=0.3679 homo_energy_ev=-8.9
O 1.3884 0.6376 0.7296 -0.52
N -0.3908 1.3135 -0.6485 -0.57
C -0.6385 -1.1258 0.4301 -0.65
C -0.0567 0.1943 0.1419 0.33
C 1.0106 0.7594 -0.5978 0.16
H -0.9554 -1.6097 -0.4987 0.24
H 1.5519 0.4477 -1.4801 0.20
H -1.5163 -1.0189 1.0740 0.22
H -0.4745 2.1680 -0.0928 0.35
H 0.0812 -1.7661 0.9422 0.25

19
Properties=species:S:1:pos:R:3:nbo_charge:R:1 method="wB97M-V/def2-TZVPD" e_above_lowest_kj_mol=311.4 energy_ha=-1068.981996 gap_ha=0.3375 homo_energy_ev=-8.6
S 1.3612 -2.3277 -0.1675 0.03
S 1.1719 0.7381 1.5395 0.39
C 0.2082 1.7821 -0.6395 -0.37
C -0.1447 -1.3946 -0.2417 -0.05
C 1.2977 2.4379 1.2921 -0.43
C 0.3906 0.6133 0.0015 -0.17
C -0.6848 -1.1066 -1.6131 -0.67
C -1.1713 -1.6333 0.8417 -0.68
C 0.7386 2.8003 0.1356 -0.25
H -2.1036 -0.9733 0.7828 0.23
H 1.6923 -2.0978 1.1739 0.14
H 0.6164 3.7763 -0.3223 0.22
H -0.2633 1.7320 -1.5596 0.23
H -0.6205 -1.4991 1.8273 0.23
H -1.0483 -2.1445 -1.9771 0.20
H 1.6977 3.2179 1.9176 0.24
H 0.1959 -0.8182 -2.2392 0.24
H -1.7316 -2.6391 0.7642 0.23
H -1.6022 -0.4637 -1.5161 0.24


Record 1
{
  "formula": "C23H22F6N2O4RuS2",
  "method": "the ωB97M-V functional and the def2-TZVPD basis",
  "e_above_lowest_kj_mol": 14.3,
  "e_homo_ev": [-11.76, -12.06],
  "multiplicity": 2,
  "total_charge": 1,
  "symbols": ["Ru", "C", "C", "C", "C", "C", "C", "C", "C", "C", "H", "H", "H", "H", "H", "H", "H", "H", "H", "H", "H", "H", "N", "C", "C", "C", "C", "C", "C", "C", "C", "C", "C", "C", "C", "H", "H", "H", "H", "H", "H", "H", "H", "H", "H", "F", "C", "F", "F", "S", "O", "O", "N", "S", "O", "O", "C", "F", "F", "F"],
~~~
-- End of the quantum chemistry results --

I did a couple of missions last night, I was a tad drunk and I am not very good at Splatoon, so I got wrecked. However, the game ran really smooth for a testfire. Good sign for the Switch online future.

I could never get over my wife cheating, no matter how much I love her. You can forgive, but you can’t forget.

This article proves Bill Maher’s point. I don’t always agree with him, and I detest Milo Yiannopoulous, but this all or nothing attitude is truly detrimental to the liberal cause. We cannot ever expect to defeat people like Yiannopoulos without exposing them and confronting them. Now, last week, Piers Morgan’s

More importantly, is it coming to the Switch?